View Full Version : Bouquet

06-03-13, 13:42
hi Guy,

I was having problems with the bouquet. So, I removed everything under /etc/enigma2/

How do I install a new set of bouquet. Please give details as I am a noob.


06-03-13, 14:42
if you are on the the latest VIX build i recommend using autobouqetmaker in the scan options.

if not use a program called dreamboxedit and download chose channel list and FTP them over to the box using that

06-03-13, 16:04
how can i tell if i have the latest image?

06-03-13, 16:06
when was the last time you did an online update?

06-03-13, 16:10
never :( Now its not even restarting :(

06-03-13, 17:04
not good at all :o take a look at this

_Unrelated to this article: records of crystals_
........
# SrVAg2O4
Calculated XRD peak list, a wavelength of 1.5418 Å. Input: a crystal structure in Alexandria, relaxed with GGA+U.
Peak positions follow from Bragg's law for the DFT cell and can differ from measured ones.

Structural model:
```
SrVAg2O4
1.0
0.0000 3.6459 5.3149
3.6407 0.0000 5.3149
3.6407 3.6459 0.0000
Sr V Ag O
1 1 2 4
Direct
0.0000 0.0000 0.0000
0.5007 0.5007 0.4993
0.2503 0.2503 0.2497
0.7503 0.7503 0.7497
0.2076 0.6004 0.3996
0.4004 0.7940 0.5996
0.6004 0.2076 0.7924
0.7940 0.4004 0.2060
```

Main lines, sorted by position (2θ from 10° to 80°):
2θ = 29.73°, I = 100; 2θ = 33.73°, I = 13; 2θ = 34.82°, I = 23; 2θ = 38.85°, I = 4; 2θ = 49.26°, I = 27; 2θ = 50.07°, I = 13; 2θ = 57.88°, I = 13; 2θ = 59.32°, I = 24; 2θ = 61.74°, I = 10; 2θ = 79.98°, I = 5

----------

(1)
Starting from a crystal structure in Alexandria, relaxed with GGA-PBE, the powder diffractogram of NaTl3O6 was calculated for Cu Kα (λ = 1.5418 Å).
No peak broadening, texture or thermal motion is included.

Cell and atoms:
```
NaTl3O6
1.0
4.931 -6.789 0.000
4.931 6.789 0.000
0.000 0.000 8.555
Na Tl O
1 3 6
Direct
0.000 0.000 0.000
0.000 0.000 0.500
0.000 0.500 0.000
0.500 0.000 0.000
0.000 0.000 0.276
0.000 0.000 0.724
0.060 0.297 0.000
0.297 0.060 0.000
0.703 0.940 0.000
0.940 0.703 0.000
```

Principal peaks in the range 10 to 90 degrees two-theta, by intensity:
d = 4.274 Å, I 100.0; d = 5.318 Å, I 88.9; d = 3.990 Å, I 59.9; d = 7.980 Å, I 55.0; d = 2.658 Å, I 46.4; d = 2.918 Å, I 43.5; d = 8.555 Å, I 33.7; d = 2.467 Å, I 22.7; d = 2.237 Å, I 22.3; d = 1.459 Å, I 18.9

***

(2)
Starting from a crystal structure in Alexandria, relaxed with GGA-PBE, the powder diffractogram of NaTlO was calculated for Cu Kα (λ = 1.5418 Å).
No peak broadening, texture or thermal motion is included.

Cell and atoms:
```
NaTlO
1.0
6.158 0.000 0.000
0.000 3.614 0.000
-1.737 0.000 11.655
Na Tl O
4 4 4
Direct
0.000 0.000 0.000
0.139 0.500 0.689
0.526 0.500 0.997
0.725 0.000 0.182
0.235 0.000 0.468
0.238 0.500 0.197
0.641 0.000 0.732
0.744 0.500 0.480
0.363 0.000 0.073
0.457 0.500 0.606
0.881 0.500 0.093
0.929 0.000 0.619
```

Principal peaks in the range 10 to 90 degrees two-theta, by intensity:
d = 2.660 Å, I 100.0; d = 2.832 Å, I 99.1; d = 3.061 Å, I 56.0; d = 2.914 Å, I 49.8; d = 5.758 Å, I 47.2; d = 5.098 Å, I 46.3; d = 3.045 Å, I 40.3; d = 3.885 Å, I 40.1; d = 2.589 Å, I 38.4; d = 1.936 Å, I 36.3

***

(3)
Starting from a crystal structure in Alexandria, relaxed with GGA-PBE, the powder diffractogram of NaTlO was calculated for Cu Kα (λ = 1.5418 Å).
No peak broadening, texture or thermal motion is included.

Cell and atoms:
```
NaTlO
1.0
3.521 0.000 0.000
0.000 4.551 0.000
-0.018 0.000 8.016
Na Tl O
2 2 2
Direct
0.250 0.250 0.060
0.750 0.750 0.940
0.248 0.250 0.652
0.752 0.750 0.348
0.251 0.750 0.143
0.749 0.250 0.857
```

Principal peaks in the range 10 to 90 degrees two-theta, by intensity:
........


and get the latest image from here http://www.world-of-satellite.com/enigma2/openvix/

And start again.. if you want just a sky channel list use the auto bouquet make in the scan options

06-03-13, 17:43
Hi i Just upgraded to the new Vix image.
But now the problem is that the password for root doesn't work anymore. I am stuck

06-03-13, 17:48
Hi i Just upgraded to the new Vix image.
But now the problem is that the password for root doesn't work anymore. I am stuck

ViX images dont have a password set by default, you can however set one your self using the passwd command via a telnet session

06-03-13, 17:59
if i leave it blank it doesn't let me log in :(.... I had a password before reflashing.....
Don't know what to do..

06-03-13, 18:03
The process of flashing a image first erases the old image already on the receiver then re-writes the new one to the box, where did you source the image you used as we never set a default password but others who produce the so called "backup images" always like to include a password often with the name of their forum in there somewhere.

also how are you trying to login ?, IE telnet, FTP, SSH etc etc etc.

06-03-13, 18:15
I have figured this out.... Now the EPG is empty. The cross EPG download doesnt work. Howe do I download the EPG data.

06-03-13, 18:17
in the set up link i posted it explains how to set up epg there:cool:

06-03-13, 18:19

The problem was that I was using SSH whereas I should have used telnet. Thats not sorted thanks.
However, i can't still get EPG to download for the new vix. The CROSSEPG Downloader no longer seems to work.


06-03-13, 18:21

The problem was that I was using SSH whereas I should have used telnet. Thats not sorted thanks.
However, i can't still get EPG to download for the new vix. The CROSSEPG Downloader no longer seems to work.


SSH does need a password to work so without one preset it wont allow you to login as you discovered. as for the EPG follow the link to setup as advised above.